Please, pretty please, add something to the “Payload” option, in order to customize it somehow, it is too not usable in this moment.
For example, I want to make a trigger which will trigger only if the payload contains a specific string, I don’t want to trigger only by the entire payload received. It could work with a part of it, detecing some strings or even using a more complex template.
The workaround which all uses, by adding a condition to the automation, it is not the perfect fitt, because the “trances” will not be usable anymore. The trigger will fire everytime, no matter that condition, the condition will only block the automation to continue, but the trigger already has been fired…
For some situations, like mine, not even a MQTT sensor will help, thats why I think that customizing the payload from the trigger, will be the perfect solution.
For this payload: {"ZbReceived":{"Bathroom_Ambient":{"Device":"0x59C2","Name":"Bathroom_Ambient","EF00/0202":5,"Endpoint":1,"LinkQuality":45}}}
I done it and it is working, with this trigger:
Edit: But now… I still don’t get it to work for a similar situation… Same payload {"ZbReceived":{"Bathroom_Ambient":{"Device":"0x59C2","Name":"Bathroom_Ambient","EF00/0202":5,"Endpoint":1,"LinkQuality":45}}}
How can I make the autmation trigger when “EF00/0202” it is detected into the payload? I cannot add value_json as value, because I don’t want to use the value. I want to trigger when the “variable” EF00/0202 it is detected into the payload, not the value of this one
Ideally, value_template should report a value. The way you designed your template, it only reports a value when the key exists, otherwise it reports nothing.
value_template: |
{% if value_json['ZbReceived']['Bathroom_Ambient']['EF00/0216'] is defined %}
{% endif %}
Other than that, there’s no functional difference; both templates report ‘yes’ only when the desired key exists in the payload.
value_template: >
{{ iif(value_json['ZbReceived']['Bathroom_Ambient']['EF00/0216'] is defined, 'yes', 'no') }}
You are right. And your way is cleaner too, but I needed something more complex and I didn’t know how to do it with iif. Look this is my final trigger:
- platform: mqtt
topic: tele/ZigBee_Bridge/C877/SENSOR
payload: trigger_template
value_template: |
{% set value = value_json['ZbReceived']['Living_Ambient']['EF00/0212']
| multiply(0.1) | float | round(1) - 0.50 %}
{% if ( (value is defined) and (is_number(value)) and
( ((states('variable.living_ambient_temperature') | float -
value ) | abs | round(1) >= 1) or (as_timestamp(now()) -
- - -
[1]
Compound: Li2V3F8
Source: Materials Project
Functional: GGA+U
Structure: relaxed

Cell and atoms, written as POSCAR:
```
Li2V3F8
1.0
5.370 -3.138 0.000
5.370 3.138 0.000
3.536 0.000 5.117
Li V F
2 3 8
Direct
0.141 0.141 0.141
0.859 0.859 0.859
0.500 0.000 0.500
0.500 0.500 0.000
0.000 0.500 0.500
0.570 0.097 0.097
0.097 0.097 0.570
0.097 0.570 0.097
0.596 0.596 0.596
0.404 0.404 0.404
0.903 0.430 0.903
0.903 0.903 0.430
0.430 0.903 0.903
```

Results
Calculated density in g/cm³: 3.07
SG: R-3m, No. 166
ΔH_f (0 K) in eV per atom: -2.96
M_tot in μB/f.u.: 9.0


[2]
Compound: FeO2
Source: Materials Project
Functional: GGA+U
Structure: relaxed

Cell and atoms, written as POSCAR:
```
FeO2
1.0
-2.991 3.090 3.822
2.991 -3.090 3.822
2.991 3.090 -3.822
Fe O
4 8
Direct
0.640 0.890 0.750
0.000 0.500 0.500
0.500 0.500 0.000
0.360 0.110 0.250
0.262 0.749 0.514
0.735 0.749 0.986
0.754 0.724 0.471
0.754 0.283 0.029
0.246 0.717 0.971
0.246 0.276 0.529
0.265 0.251 0.014
0.738 0.251 0.486
```

Results
Calculated density in g/cm³: 4.13
SG: Imma, No. 74
ΔH_f (0 K) in eV per atom: -1.05
M_tot in μB/f.u.: 4.0


[3]
Compound: Li2CoSiO4
Source: Materials Project
Functional: GGA+U
Structure: relaxed

Cell and atoms, written as POSCAR:
```
Li2CoSiO4
1.0
5.405 0.000 0.000
0.000 6.043 0.000
0.000 0.739 10.714
Li Co Si O
8 4 4 16
Direct
0.317 0.027 0.830
0.183 0.027 0.330
0.179 0.228 0.575
0.321 0.228 0.075
0.679 0.772 0.925
0.821 0.772 0.425
0.817 0.973 0.670
0.683 0.973 0.170
0.173 0.541 0.834
0.673 0.459 0.666
0.327 0.541 0.334
0.827 0.459 0.166
0.815 0.253 0.913
0.685 0.253 0.413
0.315 0.747 0.587
0.185 0.747 0.087
0.685 0.073 0.829
0.815 0.073 0.329
0.121 0.237 0.922
0.379 0.237 0.422
0.813 0.255 0.552
0.290 0.491 0.664
0.687 0.255 0.052
0.210 0.491 0.164
0.790 0.509 0.836
0.313 0.745 0.948
0.710 0.509 0.336
0.187 0.745 0.448
0.621 0.763 0.578
0.879 0.763 0.078
0.185 0.927 0.671
0.315 0.927 0.171
```

Results
Calculated density in g/cm³: 3.13
SG: P2_1/c, No. 14
ΔH_f (0 K) in eV per atom: -2.47
M_tot in μB/f.u.: 3.0


[4]
Compound: MnFe2P2O18
Source: Materials Project
Functional: GGA+U
Structure: relaxed

Cell and atoms, written as POSCAR:
```
MnFe2P2O18
1.0
5.325 0.000 0.000
-2.495 6.775 0.000
-1.712 -1.857 9.781
Mn Fe P O
1 2 2 18
Direct
0.500 0.500 0.500
0.000 0.000 0.000
0.000 0.500 0.000
0.491 0.407 0.178
0.509 0.593 0.822
0.565 0.391 0.328
0.435 0.609 0.672
0.753 0.508 0.128
0.247 0.492 0.872
0.360 0.184 0.093
0.640 0.816 0.907
0.298 0.522 0.156
0.702 0.478 0.844
0.000 0.939 0.170
0.000 0.061 0.830
0.307 0.152 0.539
0.693 0.848 0.461
0.196 0.488 0.421
0.804 0.512 0.579
0.628 0.898 0.351
0.372 0.102 0.649
0.134 0.801 0.008
0.866 0.199 0.992
```

Results
Calculated density in g/cm³: 2.43
SG: P-1, No. 2
ΔH_f (0 K) in eV per atom: -0.78
M_tot in μB/f.u.: 15.0


[5]
Compound: LiMn8O16
Source: Materials Project
Functional: GGA+U
Structure: relaxed

Cell and atoms, written as POSCAR:
```
LiMn8O16
1.0
-0.304 4.592 -3.719
-6.597 -3.421 -3.686
-7.071 5.584 7.472
Li Mn O
- - -
The article goes on >
as_timestamp(states.variable.living_ambient_temperature.last_changed) |
int > 1800)) ) %}trigger_template{% endif %}
id: Temperature
alias: Temperature
This automation will trigger only if the value is defined, it is a number and the value will be bigger than the last one with at least value of 1 or the time will pass more than 30 minutes. I made this trigger because my “stupid” sensor it is sending mqtt data 2-3 times per second. Imagine how full is my bridge, with data But it is ok, the bridge can handle it, I just wanted to not have the HA database too big and the automation to not run every second.
The first line of your template uses the value of the ‘EF00/0212’ key before checking if the key is defined.
value_template: |
{% set value = value_json['ZbReceived']['Living_Ambient']['EF00/0212']
| multiply(0.1) | float | round(1) - 0.50 %}
{% if ( (value is defined) and ...
You should confirm the key is defined before attempting to use its value.
review severity will either be “alert”, “detection” or both using a select selector (in blueprint).
[What comes next are data records, not part of the entry]
<<<
Material: PPt
Method: DFT, PBE
State: optimized geometry

Calculated values
Spin magnetization in μB per atom: 0.00
Calculated formation energy in eV per atom: -0.31
Raw total energy in eV per cell: -24.22

Unit cell a=3.743 b=3.743 c=6.354 alpha=90.00 beta=90.00 gamma=120.00
Element x y z (fractional)
Pt: 0.333 0.667 0.872
P: 0.333 0.667 0.503
P: 0.000 0.000 0.003
Pt: 0.000 0.000 0.372


Material: PPt3
Method: DFT, PBE
State: optimized geometry

Calculated values
Spin magnetization in μB per atom: 0.00
Calculated formation energy in eV per atom: 0.15
Raw total energy in eV per cell: -23.03

Unit cell a=4.926 b=4.926 c=4.926 alpha=133.35 beta=133.35 gamma=68.10
Element x y z (fractional)
Pt: 0.250 0.750 0.500
Pt: 0.750 0.250 0.500
P: 0.000 0.000 0.000
Pt: 0.500 0.500 0.000


Material: P2Pt5
Method: DFT, PBE
State: optimized geometry

Calculated values
Calculated formation energy in eV per atom: -0.38
Raw total energy in eV per cell: -87.64

Unit cell a=6.121 b=6.121 c=7.527 alpha=81.52 beta=81.52 gamma=52.86
Element x y z (fractional)
Pt: 0.630 0.081 0.595
P: 0.565 0.753 0.724
Pt: 0.919 0.370 0.905
Pt: 0.370 0.919 0.405
Pt: 0.112 0.888 0.750
Pt: 0.845 0.393 0.533
Pt: 0.393 0.845 0.033
P: 0.247 0.435 0.776
Pt: 0.081 0.630 0.095
Pt: 0.155 0.607 0.467
Pt: 0.888 0.112 0.250
P: 0.753 0.565 0.224
Pt: 0.607 0.155 0.967
P: 0.435 0.247 0.276

* * * * *

A geometry-optimized Dy3S2Cl5 structure, computed with PBE.

E_tot ... -5.32 eV per atom
DFT formation energy ... -2.59 eV per atom
E (MP2020) ... -228.9 eV per cell

Lattice parameters (Å, degrees): 6.8162 21.8145 6.3870 90.00 90.00 90.00
Space group Pnma (No. 62)
Inequivalent atoms, fractional coordinates:
1 Dy 0.0375 0.2500 0.0504
2 Dy 0.1200 0.0981 0.4509
3 S 0.1714 0.6723 0.6917
4 Cl 0.0387 0.6174 0.1651
5 Cl 0.1676 0.5202 0.6767
6 Cl 0.1824 0.2500 0.6545



A geometry-optimized ErCl2 structure, computed with PBE.

E_tot ... -4.59 eV per atom
DFT formation energy ... -2.24 eV per atom
E (MP2020) ... -30.0 eV per cell

Lattice parameters (Å, degrees): 6.8409 6.8409 3.4375 90.00 90.00 90.00
Space group P4_2/mnm (No. 136)
Inequivalent atoms, fractional coordinates:
1 Er 0.0000 0.0000 0.0000
2 Cl 0.2198 0.2198 0.5000



A geometry-optimized K4ErP6H6ClO21 structure, computed with PBE.

E_tot ... -6.35 eV per atom
DFT formation energy ... -2.42 eV per atom
E (MP2020) ... -524.3 eV per cell

Lattice parameters (Å, degrees): 10.0322 10.0322 12.2739 90.00 90.00 120.00
Space group P6_3/m (No. 176)
Inequivalent atoms, fractional coordinates:
1 K 0.0000 0.0000 0.0000
2 K 0.0492 0.7249 0.2500
3 Er 0.3333 0.6667 0.7500
4 P 0.1986 0.4817 0.0082
5 H 0.0334 0.6382 0.6855
6 Cl 0.0000 0.0000 0.2500
7 O 0.0581 0.5960 0.7500
8 O 0.0990 0.3427 0.0748
9 O 0.1717 0.6228 0.0480
10 O 0.1934 0.4759 0.6143



A geometry-optimized ErH2ClO2 structure, computed with PBE.

E_tot ... -5.95 eV per atom
DFT formation energy ... -2.33 eV per atom
E (MP2020) ... -74.1 eV per cell
>>>
the json payload will be one of those, or something else, but always one value